Tonight on “The David Goldstein Show”, 7PM to 10PM on Newsradio 710-KIRO:
7PM: Open lines with Rep. Adam Smith
Congressman Adam Smith represents Washington’s 9th Congressional District, and he’ll be joining me for the hour to take your calls. This week he demanded that “We must change course in Iraq to protect our country.” This is your chance to give him your support or a piece of your mind on this and other pressing issues.
8PM: Politics and Music
Tom Morello, best known as the guitarist for Rage Against the Machine and Audioslave, is playing his acoustic protest songs as The Night Watchman, July 18th at Seattle’s Crocodile Cafe. I had a chance to interview him earlier this week about the intersection between politics and music. We’ll play the tape, and then come back in the second half of the hour to continue the conversation with Howie Klein, a former president of Reprise Records, who is now one of the nation’s leading progressive bloggers. (Down With Tyranny and Firedoglake.)
9PM: Um… is the right crazy?
Are they nuts? You know, stuff like this, and especially, this. I mean, really.
Tune in tonight (or listen to the live stream) and give me a call: 1-877-710-KIRO (5476).
All you Frank Shiers fans, watch out! I’ll be filling in for Frank Monday and Tuesday from 9PM to 1AM. And all you Allan Prell fans, tune in! He’ll be my guest in the 9PM hour on Tuesday night.
Hey Redneck! Pay Goldy the $100 you owe him, you welshing sidewinder! P.S., how do you like this ICE AGE we’re having? HAR HAR HAR HAR HAR
Saddam Hussein named his elite military forces the
[ ] 1. Republican Guard
[ ] 2. Democratic Guard
[ ] 3. Libertarian Guard
[ ] 4. Whig Guard
[ ] 5. Green Guard
David- YOU ARE FULL OF HORSESASS (Sorry I couldn’t resist) on your statement about 20 minutes ago where you stated you are the only Liberal talk show from Seattle- That is total BS and Im calling you on it and I think your going to be to chicken shit to say you were wrong on the air- You are not the only Liberal talk show from Seattle- Dave Ross and Ron Reagan are Liberal so sorry YOU ARE 100% WRONG HERE!
Richard Halvorson
With the Iraq debate heating up again, wingnuts are attempting to downplay the American casualties by circulating an e-mail that claims more soldiers died under Clinton.
First of all, the claim is FALSE. Total service deaths in Bush’s first six years exceed those of Clinton’s eight years. Comparing Clinton’s first term to Bush’s first term, 5,187 died under Bush compared to 4,302 under Clinton.
Second, the wingnut noise machine is gaming the numbers by comparing total deaths under Clinton with combat deaths under Bush to get a favorable comparison. During Clinton’s two terms, only 59 Americans died in combat, despite several foreign interventions; and Clinton stopped a genocide in Kosovo and toppled a brutal dictator without a single American combat fatality.
Third, while criticizing Clinton for approximately 7,500 service deaths during his time in office, the wingnut propagandists conveniently fail to mention that U.S. military deaths topped 17,000 during the presidency of their favorite icon, Saint Ronnie.
Here are some reasons while total military deaths might have decreased since Clinton’s time:
1. The military is smaller now. This is the main factor in total deaths. The death RATE per 1,000 active duty personnel is not lower now.
2. Accidental deaths were higher in the ’80s and ’90s because there were more training exercises then.
3. Medical treatment has improved, resulting in personnel surviving illnesses and injuries that would have claimed lives at the earlier time.
But the really big problem with this latest piece of bombast from the rightwing spew machine is that it trivializes American deaths in Iraq. It says, in effect, so what if 100 Americans a month are dying in Iraq? Soldiers died when Clinton was president, so that makes it okay. Try telling that to the dead, and to the families of the dead.
## Inserted here: records of crystals
=====
AgAsF7: relaxed, meta-GGA r2SCAN.

Total magnetization in μB/f.u.: 0.24
SG: Pnma (62)
Crystal system: orthorhombic
Calculated formation energy in eV/atom: -1.92
E in eV per atom: -8.362

Cell: 7.7030 6.9801 9.7735 Å, 90.00 90.00 90.00°
With the nearest neighbours (Å) after each atom.
Element x y z (fractional)
Ag 0.1353 0.2500 0.2423  2 F 2.01
Ag 0.3647 0.7500 0.7423  2 F 2.01
Ag 0.6353 0.2500 0.2577  2 F 2.01
Ag 0.8647 0.7500 0.7577  2 F 2.01
As 0.1997 0.7500 0.0600  6 F 1.71-1.76
As 0.3003 0.2500 0.5600  6 F 1.71-1.76
As 0.6997 0.7500 0.4400  6 F 1.71-1.76
As 0.8003 0.2500 0.9400  6 F 1.71-1.76
F 0.0065 0.2500 0.0176  1 As 1.76
F 0.1001 0.2500 0.6354  1 As 1.71
F 0.1116 0.7500 0.6926  2 Ag 2.01
F 0.1251 0.5730 0.1721  1 As 1.75
F 0.1251 0.9270 0.1721  1 As 1.75
F 0.2334 0.0746 0.4419  1 As 1.76
F 0.2334 0.4254 0.4419  1 As 1.76
F 0.2666 0.5746 0.9419  1 As 1.76
F 0.2666 0.9254 0.9419  1 As 1.76
F 0.3749 0.0730 0.6721  1 As 1.75
F 0.3749 0.4270 0.6721  1 As 1.75
F 0.3884 0.2500 0.1926  2 Ag 2.01
F 0.3999 0.7500 0.1354  1 As 1.71
F 0.4935 0.7500 0.5176  1 As 1.76
F 0.5065 0.2500 0.4824  1 As 1.76
F 0.6001 0.2500 0.8646  1 As 1.71
F 0.6116 0.7500 0.8074  2 Ag 2.01
F 0.6251 0.5730 0.3279  1 As 1.75
F 0.6251 0.9270 0.3279  1 As 1.75
F 0.7334 0.0746 0.0581  1 As 1.76
F 0.7334 0.4254 0.0581  1 As 1.76
F 0.7666 0.5746 0.5581  1 As 1.76
F 0.7666 0.9254 0.5581  1 As 1.76
F 0.8749 0.0730 0.8279  1 As 1.75
F 0.8749 0.4270 0.8279  1 As 1.75
F 0.8884 0.2500 0.3074  2 Ag 2.01
F 0.8999 0.7500 0.3646  1 As 1.71
F 0.9935 0.7500 0.9824  1 As 1.76


La10Bi8O27: relaxed, meta-GGA r2SCAN.

Total magnetization in μB/f.u.: 0.00
SG: P1 (1)
Crystal system: triclinic
Calculated formation energy in eV/atom: -2.69
E in eV per atom: -23.286

Cell: 8.2103 10.3900 10.4095 Å, 70.89 78.58 78.58°
With the nearest neighbours (Å) after each atom.
Element x y z (fractional)
La 0.0000 0.0000 0.0000  7 O 2.39-2.55
La 0.0011 0.6818 0.3098  4 O 2.29-2.53
La 0.1713 0.6751 0.6377  5 O 2.36-2.59
La 0.1748 0.3401 0.9495  7 O 2.39-2.53
La 0.3387 0.6751 0.9701  7 O 2.51-2.71
La 0.4966 0.7020 0.3038  7 O 2.43-2.51
La 0.5014 0.0095 0.9672  5 O 2.33-2.61
La 0.6754 0.6446 0.6429  7 O 2.38-2.53
La 0.6787 0.3334 0.9505  5 O 2.30-2.50
La 0.8350 0.6771 0.9686  7 O 2.51-2.73
Bi 0.0079 0.3405 0.6420  4 O 2.14-2.25
Bi 0.1713 0.0034 0.3035  4 O 2.14-2.26
Bi 0.3331 0.3628 0.2873  3 O 2.05-2.10
Bi 0.3375 0.9804 0.6631  4 O 2.10-2.26
Bi 0.4983 0.3415 0.6407  4 O 2.14-2.27
Bi 0.6716 0.0017 0.3031  4 O 2.14-2.22
Bi 0.8375 0.3636 0.2895  3 O 2.05-2.10
Bi 0.8370 0.9819 0.6638  4 O 2.10-2.26
O 0.0431 0.7498 0.0748  4 La 2.29-2.55
O 0.0696 0.3861 0.3291  2 Bi 2.10
O 0.1148 0.9220 0.6135  2 Bi 2.24-2.25, 1 La 2.45
O 0.1300 0.5863 0.8797  4 La 2.36-2.55
O 0.2029 0.7837 0.3806  1 Bi 2.14
O 0.2105 0.0908 0.0803  1 Bi 2.18
O 0.2247 0.3947 0.6984  2 Bi 2.20-2.21, 1 La 2.45
O 0.2652 0.9380 0.8762  1 Bi 2.10
O 0.3160 0.5709 0.2472  1 Bi 2.05
O 0.3741 0.3866 0.0807  1 Bi 2.05
O 0.4105 0.7668 0.7076  1 Bi 2.10
=====
BTW, if your family loses a loved one in Iraq, the wingers will “support” you only if you subscribe to their rightwing politics. If you don’t, they’ll hate you the same as they hate everyone who disagrees with them. Just ask Cindy Sheehan how little respect rightwingers have for relatives of dead soldiers who believe the wingers’ warmongering is morally wrong and bad policy for our country.
To a rightwinger, a soldier’s death is important only insofar as it advances their political agenda.
Wingnuts lied about Jessica Lynch’s rescue. They lied about Pat Tillman’s death. Then Bush invoked executive privilege to avoid answering questions about the lies his administration told about Tillman’s death.
“225 different people in the Ronald Reagan administration have either quit, been fired, been arrested, indicted, or convicted of either breaking the law or violating the Ethics Code; Edwin Meese alone, the Attorney General, has been investigated by three separate Special Prosecutors.”
This exchange between me and Proud Leftist is so good, I am going to post it in every thread on HA from now on. It destroys the Publicans’ stupid talking points – period.
“I’m working really hard to understand how President Bill Clinton’s actions act as justifcation for the righties. Read this fuckwads.
If your lame ass argument is that Bill Clinton was a bad President – which is what you say – and if your argument now is that the AWOL coward GW Bush is in someway comparable to Bill Clinton, what you are actually saying is that GW Bush is NO BETTER THAN CLINTON.
Does it hurt to be that stupid? I really want to know.
proud leftist says:
RES @ 18
You’ve hit it on the nose. The rightwing fringefucks consider Clinton to be the personification of evil–indeed, he is the devil incarnate in their twisted little minds. Nonetheless, their justification for all of the Bushites’ sins is, always, “well, Clinton did it, too.” Methinks they never studied logic.”
And what’s better, is that the rightie traitor keeps pointing out that this is true. Thanks MTR. Please keep proving my point for me.
Monday two PUBLICAN Senators are going to offer legislation to pull out our troops. Will you inbred, ass-licking, bible-thumpin, redneck cowards on the right start calling them traitors too?
Are you going to sing their praises?
Monday two PUBLICAN Senators are going to offer legislation to pull out our troops. Will you inbred, ass-licking, bible-thumpin, redneck cowards on the right start calling them traitors too?
Hell no! We are not traitors.
@11 Yes. What’s bad about saving the lives of our troops? What’s good about sacrificing their lives in vain?
Pellethead: Goldy banned me. One post gets thru every two or three days.
Noble goals, indeed. Sacrificing their lives in vain? I guess that’s a matter of interpretation. As someone who, I believe, said that they were in Vietnam, I’m sure you understand the ramifications of unilaterally withdrawing US troops? Do you remember that hundreds of thousands, possibly millions, of Vietnamese lost their lives when the US pulled out of Vietnam? Their only crime was in trusting the United States. How many would die this time, for the same thing? You can argue all you want about woulda/coulda/shoulda when it comes to whether we should have gone to Iraq in the first place. Personally, I didn’t think so at the time. I still don’t think we should have. Unfortunately, it doesn’t matter now. We’re there. We do the right thing this time, or we cause another genocide. At that point “blame” won’t mean a damned thing. Because the country itself is going to be fucked up for another generation.
Roger Rabbit says:
Saddam Hussein named his elite military forces the
[ ] 1. Republican Guard
=====
Record 1
PBE HoTiFe11N, relaxed; size of the total moment = 23.23 μB/cell; calculated volume = 175.5 Å³ per cell; energy of formation = -0.208 eV/atom
1.0
-2.396 4.293 4.265
2.396 -4.293 4.265
2.396 4.293 -4.265
Ho Ti Fe N
1 1 11 1
Direct
0.000 0.000 0.000
0.371 0.371 0.000
0.004 0.005 0.498
0.004 0.506 0.999
0.229 0.729 0.500
0.231 0.509 0.722
0.365 0.006 0.359
0.507 0.005 0.001
0.507 0.506 0.502
0.648 0.006 0.641
0.649 0.649 0.000
0.781 0.281 0.500
0.786 0.509 0.278
0.005 0.505 0.500



Record 2
PBE HoFe11Re, relaxed; size of the total moment = 22.01 μB/cell; calculated volume = 167.8 Å³ per cell; energy of formation = -0.023 eV/atom
1.0
-2.343 4.216 4.245
2.343 -4.216 4.245
2.343 4.216 -4.245
Ho Fe Re
1 11 1
Direct
0.000 0.000 0.000
0.003 0.004 0.499
0.003 0.504 0.000
0.230 0.506 0.724
0.232 0.732 0.500
0.364 0.005 0.359
0.504 0.004 0.000
0.504 0.504 0.501
0.645 0.645 0.000
0.646 0.005 0.641
0.778 0.278 0.500
0.782 0.506 0.276
0.365 0.365 0.000



Record 3
PBE HoFeRu, relaxed; calculated volume = 97.8 Å³ per cell; energy of formation = -0.238 eV/atom
1.0
-2.544 2.674 3.595
2.544 -2.674 3.595
2.544 2.674 -3.595
Ho Fe Ru
2 2 2
Direct
0.372 0.122 0.250
0.628 0.878 0.750
0.000 0.000 0.500
0.000 0.500 0.000
0.000 0.500 0.500
0.500 0.500 0.000



Among the records above, which one has the lowest energy of formation?
HoFeRu
=====
[ ] 2. Democratic Guard
[ ] 3. Libertarian Guard
[ ] 4. Whig Guard
[ ] 5. Green Guard
Well one of course. You dont actually believe that democrats fight wars. Ha hahahahahahahahahhahahahahahahahahahahahahahahahahahhahahahahahahahahahahahahahaahahahahaahahaha
Wait, I am dog.
Woof woof woof woof woof woof woof woof woof woof
YLB, you don’t understand. He has to post every now and then telling everyone he’s been banned, which, somehow, is proof he’s been banned.
Okay, I don’t understand it either, but there you go.
You really have to marvel at the stupidity that is Puffybutt. His post saying he was banned (yet we still see his supposedly banned post) is proof that the Publican mind is completely disjointed. This must be how they convince themselves that up is down and down is up and day is night and night is day, etc.
They are all fucking lunatics.
In addition to not being banned, Puffybutt posts here under about 15 assumed names.
re 17: … and how many weeks did it take to Topple Saddam’s elite “Republican” Guard?
According to Bush we are trying to create a democracy in Iraq.
@15 ” … hundreds of thousands, possibly millions, of Vietnamese lost their lives …”
What’s your source for this assertion?
But let’s assume, arguendo, that the commies slaughtered millions when they took over Vietnam. Well shit, man, that’s what happens when you lose a war. So how does throwing away more lives in a losing war improve the outcome of the war? All it does is raise the casualty count. The whole point of getting out of an unwinnable war is so you don’t get your ass kicked even worse. You are a fucking idiot! Thank the Great Mother Rabbit Spirit that I never had to take orders from YOU.
See? Wingnuts are so completely wrong about everything they can’t win an argument even when you let them make up the facts.
“But let’s assume, arguendo, that the commies slaughtered millions when they took over Vietnam. Well shit, man, that’s what happens when you lose a war.”
And *I’M* the fucking idiot? What a truly ignorant asshole you just proved yourself to be. Do you know anything about history? I don’t think you do. The point is not to throw good lives after bad, dumbass. The point is to freakin’ WIN. So let’s hear why that wasn’t possible in Vietnam, or Iraq? Please give me the benefit of your all-knowing wisdom. How much more ignorant blathering can you put forth?
Materials data from another source follow >
=====
(a)
The following is a DFT calculation (PBE with a Hubbard U) of a relaxed structure of MgVCrP2O8F2.

Cell lengths 5.2231, 5.4080, 7.3957 Å; angles 107.55, 109.09, 97.22 degrees
Element x y z (fractional)
Mg: 0.0000 0.0000 0.0000
V: 0.2655 0.6140 0.1869
Cr: 0.2629 0.6040 0.6670
P: 0.5747 0.2523 0.9334
P: 0.9290 0.9710 0.4156
O: 0.0233 0.8367 0.5737
O: 0.0933 0.9182 0.2655
O: 0.3556 0.2632 0.0370
O: 0.5288 0.4120 0.7934
O: 0.5764 0.9520 0.8315
O: 0.6201 0.8489 0.2667
O: 0.8840 0.3548 0.0960
O: 0.9671 0.2711 0.5186
F: 0.1378 0.6831 0.9083
F: 0.3900 0.5417 0.4446

**Volume**: 12.2 A^3/atom

---

(b)
The following is a DFT calculation (PBE with a Hubbard U) of a relaxed structure of MgVCrP2O8F2.

Cell lengths 5.1477, 5.4639, 7.3937 Å; angles 110.88, 108.11, 91.84 degrees
Element x y z (fractional)
Mg: 0.0000 0.0000 0.0000
V: 0.5000 0.0000 0.5000
Cr: 0.0000 0.5000 0.0000
P: 0.3879 0.6048 0.7473
P: 0.6121 0.3952 0.2527
O: 0.1849 0.6832 0.8713
O: 0.3070 0.3093 0.0916
O: 0.3281 0.3042 0.6316
O: 0.3506 0.7674 0.6135
O: 0.6494 0.2326 0.3865
O: 0.6719 0.6958 0.3684
O: 0.6930 0.6907 0.9084
O: 0.8151 0.3168 0.1287
F: 0.1434 0.8557 0.2312
F: 0.8566 0.1443 0.7688

**Volume**: 12.2 A^3/atom

---

It is (b) that is most stable; the runner-up trails by 0.006 eV/atom.

---

(a)
The following is a DFT calculation (PBE with a Hubbard U) of a relaxed structure of Sr5Cr3O12F.

Cell lengths 10.1603, 10.1603, 7.3189 Å; angles 90.00, 90.00, 120.00 degrees
Element x y z (fractional)
Sr: 0.0008 0.7612 0.2500
Sr: 0.2388 0.2396 0.2500
Sr: 0.2396 0.0008 0.7500
Sr: 0.3333 0.6667 0.0012
Sr: 0.3333 0.6667 0.4988
Sr: 0.6667 0.3333 0.5012
Sr: 0.6667 0.3333 0.9988
Sr: 0.7604 0.9992 0.2500
Sr: 0.7612 0.7604 0.7500
Sr: 0.9992 0.2388 0.7500
Cr: 0.0305 0.6253 0.7500
Cr: 0.3747 0.4052 0.7500
Cr: 0.4052 0.0305 0.2500
Cr: 0.5948 0.9695 0.7500
Cr: 0.6253 0.5948 0.2500
Cr: 0.9695 0.3747 0.2500
O: 0.0919 0.7438 0.5626
O: 0.0919 0.7438 0.9374
O: 0.1300 0.5283 0.7500
O: 0.1645 0.4818 0.2500
O: 0.2562 0.3482 0.5626
O: 0.2562 0.3482 0.9374
O: 0.3173 0.8355 0.2500
O: 0.3482 0.0919 0.0626
O: 0.3482 0.0919 0.4374
O: 0.3983 0.8700 0.7500
O: 0.4717 0.6017 0.7500
O: 0.4818 0.3173 0.7500
O: 0.5182 0.6827 0.2500
O: 0.5283 0.3983 0.2500
O: 0.6017 0.1300 0.2500
O: 0.6518 0.9081 0.5626
O: 0.6518 0.9081 0.9374
O: 0.6827 0.1645 0.7500
O: 0.7438 0.6518 0.0626
O: 0.7438 0.6518 0.4374
O: 0.8355 0.5182 0.7500
O: 0.8700 0.4717 0.2500
O: 0.9081 0.2562 0.0626
O: 0.9081 0.2562 0.4374
F: 0.0000 0.0000 0.0000
F: 0.0000 0.0000 0.5000

**Volume**: 15.6 A^3/atom

---

(b)
The following is a DFT calculation (PBE with a Hubbard U) of a relaxed structure of Sr5Cr3O12F.

Cell lengths 10.0937, 10.0937, 7.5037 Å; angles 90.00, 90.00, 120.00 degrees
Element x y z (fractional)
Sr: 0.0063 0.7576 0.2500
Sr: 0.2424 0.2486 0.2500
Sr: 0.2486 0.0063 0.7500
Sr: 0.3333 0.6667 0.0000
Sr: 0.3333 0.6667 0.5000
Sr: 0.6667 0.3333 0.0000
Sr: 0.6667 0.3333 0.5000
Sr: 0.7514 0.9937 0.2500
Sr: 0.7576 0.7514 0.7500
Sr: 0.9937 0.2424 0.7500
=====
And as for not having to take orders from me? Since you were doubtless a REMF it wouldn’t have been a problem.